### To do
Could you type out the data further below from the first line to the one with "167 kJ/mol" without additions?
### Contents
~~~
VASP calculation (GGA-PBE) on an optimized crystal structure of HfU2PaC4.

Cell: 3.4655 6.0734 5.9874 Å, 109.68 90.00 90.00°
Last column: nearest neighbours and their distance in Å.
Element x y z (fractional)
C (0.5000, 0.2711, 0.2535)  1 Hf 2.38, 3 U 2.39-2.55, 2 Pa 2.52
C (0.5000, 0.7289, 0.7465)  1 Hf 2.38, 3 U 2.39-2.55, 2 Pa 2.52
C (0.0000, 0.7407, 0.2496)  3 U 2.42-2.48, 2 Hf 2.43, 1 Pa 2.51
C (0.0000, 0.2593, 0.7504)  3 U 2.42-2.48, 2 Hf 2.43, 1 Pa 2.51
Pa (0.0000, 0.0000, 0.0000)  6 C 2.51-2.52
U (0.0000, 0.5000, 0.5000)  6 C 2.39-2.42
U (0.5000, 0.0000, 0.5000)  6 C 2.48-2.55
Hf (0.5000, 0.5000, 0.0000)  6 C 2.38-2.43

DOS(E_F): 0.9147 states/eV per atom
formation energy: -38 kJ/mol of atoms
VASP energy: -10.2565 eV per atom

---

VASP calculation (GGA-PBE) on an optimized crystal structure of Hf2PaVC4.

Cell: 3.3052 5.9119 11.3717 Å, 90.00 90.00 106.23°
Last column: nearest neighbours and their distance in Å.
Element x y z (fractional)
C (0.7358, 0.4717, 0.8778)  1 V 1.90
C (0.7358, 0.4717, 0.6222)  1 V 1.90
C (0.2642, 0.5283, 0.1222)  1 V 1.90
C (0.0000, 0.0000, 0.0000)  4 Hf 2.27
C (0.4451, 0.8902, 0.7500)  2 V 2.02
C (0.2642, 0.5283, 0.3778)  1 V 1.90
C (0.5549, 0.1098, 0.2500)  2 V 2.02
C (0.0000, 0.0000, 0.5000)  4 Hf 2.27
V (0.8435, 0.6870, 0.7500)  4 C 1.90-2.02
V (0.1565, 0.3130, 0.2500)  4 C 1.90-2.02
Pa (0.8915, 0.7829, 0.2500)  6 C 2.48-2.63
Pa (0.1085, 0.2171, 0.7500)  6 C 2.48-2.63
Hf (0.6303, 0.2607, 0.0424)  5 C 2.22-2.42
Hf (0.3697, 0.7393, 0.9576)  5 C 2.22-2.42
Hf (0.6303, 0.2607, 0.4576)  5 C 2.22-2.42
Hf (0.3697, 0.7393, 0.5424)  5 C 2.22-2.42

DOS(E_F): 0.5336 states/eV per atom
formation energy: -49 kJ/mol of atoms
VASP energy: -9.9300 eV per atom

---

VASP calculation (GGA-PBE) on an optimized crystal structure of Hf2ZrPaC4.

Cell: 3.3865 5.8758 5.8796 Å, 70.75 90.00 90.00°
Last column: nearest neighbours and their distance in Å.
Element x y z (fractional)
C (0.0000, 0.7612, 0.7424)  3 Hf 2.36-2.38, 1 Zr 2.41, 2 Pa 2.45
C (0.5000, 0.7560, 0.2492)  3 Hf 2.37-2.38, 2 Zr 2.42, 1 Pa 2.42
C (0.0000, 0.2388, 0.2576)  3 Hf 2.36-2.38, 1 Zr 2.41, 2 Pa 2.45
C (0.5000, 0.2440, 0.7508)  3 Hf 2.37-2.38, 2 Zr 2.42, 1 Pa 2.42
Hf (0.5000, 0.0000, 0.5000)  6 C 2.36-2.37
Hf (0.0000, 0.0000, 0.0000)  6 C 2.38
Pa (0.5000, 0.5000, 0.0000)  6 C 2.42-2.45
Zr (0.0000, 0.5000, 0.5000)  6 C 2.41-2.42

DOS(E_F): 0.2402 states/eV per atom
formation energy: -72 kJ/mol of atoms
VASP energy: -10.1022 eV per atom

---

VASP calculation (GGA-PBE) on an optimized crystal structure of Hf2PbC.

Cell: 4.7173 4.7173 4.7173 Å, 60.00 60.00 60.00°
Last column: nearest neighbours and their distance in Å.
Element x y z (fractional)
Hf (0.2500, 0.2500, 0.2500)  4 Pb 2.89, 4 C 2.89
Hf (0.7500, 0.7500, 0.7500)  4 Pb 2.89, 4 C 2.89
C (0.0000, 0.0000, 0.0000)  8 Hf 2.89
Pb (0.5000, 0.5000, 0.5000)  8 Hf 2.89

DOS(E_F): 0.8388 states/eV per atom
formation energy: 99 kJ/mol of atoms
VASP energy: -7.1882 eV per atom

---

VASP calculation (GGA-PBE) on an optimized crystal structure of HfPb3C.

Cell: 5.6646 5.6646 5.6646 Å, 90.00 90.00 90.00°
Last column: nearest neighbours and their distance in Å.
Element x y z (fractional)
Pb (0.5000, 0.0000, 0.0000)  2 Hf 2.83
Pb (0.0000, 0.5000, 0.0000)  2 Hf 2.83
Pb (0.0000, 0.0000, 0.5000)  2 Hf 2.83
Hf (0.0000, 0.0000, 0.0000)  6 Pb 2.83
C (0.5000, 0.5000, 0.5000)  12 Pb 4.01

DOS(E_F): 0.7051 states/eV per atom
formation energy: 167 kJ/mol of atoms
VASP energy: -4.3247 eV per atom

---

VASP calculation (GGA-PBE) on an optimized crystal structure of Hf2PbC.

Cell: 3.3903 3.3903 7.6592 Å, 77.21 77.21 60.00°
Last column: nearest neighbours and their distance in Å.
Element x y z (fractional)
C (0.0000, 0.0000, 0.0000)  6 Hf 2.28
Hf (0.2804, 0.2804, 0.1589)  3 C 2.28
Hf (0.7196, 0.7196, 0.8411)  3 C 2.28
Pb (0.5000, 0.5000, 0.5000)  6 Hf 3.20, 6 Pb 3.39

DOS(E_F): 0.5137 states/eV per atom
formation energy: -57 kJ/mol of atoms
VASP energy: -8.8011 eV per atom

---
~~~
### Done
VASP calculation (GGA-PBE) on an optimized crystal structure of HfU2PaC4.

Cell: 3.4655 6.0734 5.9874 Å, 109.68 90.00 90.00°
Last column: nearest neighbours and their distance in Å.
Element x y z (fractional)
C (0.5000, 0.2711, 0.2535)  1 Hf 2.38, 3 U 2.39-2.55, 2 Pa 2.52
C (0.5000, 0.7289, 0.7465)  1 Hf 2.38, 3 U 2.39-2.55, 2 Pa 2.52
C (0.0000, 0.7407, 0.2496)  3 U 2.42-2.48, 2 Hf 2.43, 1 Pa 2.51
C (0.0000, 0.2593, 0.7504)  3 U 2.42-2.48, 2 Hf 2.43, 1 Pa 2.51
Pa (0.0000, 0.0000, 0.0000)  6 C 2.51-2.52
U (0.0000, 0.5000, 0.5000)  6 C 2.39-2.42
U (0.5000, 0.0000, 0.5000)  6 C 2.48-2.55
Hf (0.5000, 0.5000, 0.0000)  6 C 2.38-2.43

DOS(E_F): 0.9147 states/eV per atom
formation energy: -38 kJ/mol of atoms
VASP energy: -10.2565 eV per atom

---

VASP calculation (GGA-PBE) on an optimized crystal structure of Hf2PaVC4.

Cell: 3.3052 5.9119 11.3717 Å, 90.00 90.00 106.23°
Last column: nearest neighbours and their distance in Å.
Element x y z (fractional)
C (0.7358, 0.4717, 0.8778)  1 V 1.90
C (0.7358, 0.4717, 0.6222)  1 V 1.90
C (0.2642, 0.5283, 0.1222)  1 V 1.90
C (0.0000, 0.0000, 0.0000)  4 Hf 2.27
C (0.4451, 0.8902, 0.7500)  2 V 2.02
C (0.2642, 0.5283, 0.3778)  1 V 1.90
C (0.5549, 0.1098, 0.2500)  2 V 2.02
C (0.0000, 0.0000, 0.5000)  4 Hf 2.27
V (0.8435, 0.6870, 0.7500)  4 C 1.90-2.02
V (0.1565, 0.3130, 0.2500)  4 C 1.90-2.02
Pa (0.8915, 0.7829, 0.2500)  6 C 2.48-2.63
Pa (0.1085, 0.2171, 0.7500)  6 C 2.48-2.63
Hf (0.6303, 0.2607, 0.0424)  5 C 2.22-2.42
Hf (0.3697, 0.7393, 0.9576)  5 C 2.22-2.42
Hf (0.6303, 0.2607, 0.4576)  5 C 2.22-2.42
Hf (0.3697, 0.7393, 0.5424)  5 C 2.22-2.42

DOS(E_F): 0.5336 states/eV per atom
formation energy: -49 kJ/mol of atoms
VASP energy: -9.9300 eV per atom

---

VASP calculation (GGA-PBE) on an optimized crystal structure of Hf2ZrPaC4.

Cell: 3.3865 5.8758 5.8796 Å, 70.75 90.00 90.00°
Last column: nearest neighbours and their distance in Å.
Element x y z (fractional)
C (0.0000, 0.7612, 0.7424)  3 Hf 2.36-2.38, 1 Zr 2.41, 2 Pa 2.45
C (0.5000, 0.7560, 0.2492)  3 Hf 2.37-2.38, 2 Zr 2.42, 1 Pa 2.42
C (0.0000, 0.2388, 0.2576)  3 Hf 2.36-2.38, 1 Zr 2.41, 2 Pa 2.45
C (0.5000, 0.2440, 0.7508)  3 Hf 2.37-2.38, 2 Zr 2.42, 1 Pa 2.42
Hf (0.5000, 0.0000, 0.5000)  6 C 2.36-2.37
Hf (0.0000, 0.0000, 0.0000)  6 C 2.38
Pa (0.5000, 0.5000, 0.0000)  6 C 2.42-2.45
Zr (0.0000, 0.5000, 0.5000)  6 C 2.41-2.42

DOS(E_F): 0.2402 states/eV per atom
formation energy: -72 kJ/mol of atoms
VASP energy: -10.1022 eV per atom

---

VASP calculation (GGA-PBE) on an optimized crystal structure of Hf2PbC.

Cell: 4.7173 4.7173 4.7173 Å, 60.00 60.00 60.00°
Last column: nearest neighbours and their distance in Å.
Element x y z (fractional)
Hf (0.2500, 0.2500, 0.2500)  4 Pb 2.89, 4 C 2.89
Hf (0.7500, 0.7500, 0.7500)  4 Pb 2.89, 4 C 2.89
C (0.0000, 0.0000, 0.0000)  8 Hf 2.89
Pb (0.5000, 0.5000, 0.5000)  8 Hf 2.89

DOS(E_F): 0.8388 states/eV per atom
formation energy: 99 kJ/mol of atoms
VASP energy: -7.1882 eV per atom

---

VASP calculation (GGA-PBE) on an optimized crystal structure of HfPb3C.

Cell: 5.6646 5.6646 5.6646 Å, 90.00 90.00 90.00°
Last column: nearest neighbours and their distance in Å.
Element x y z (fractional)
Pb (0.5000, 0.0000, 0.0000)  2 Hf 2.83
Pb (0.0000, 0.5000, 0.0000)  2 Hf 2.83
Pb (0.0000, 0.0000, 0.5000)  2 Hf 2.83
Hf (0.0000, 0.0000, 0.0000)  6 Pb 2.83
C (0.5000, 0.5000, 0.5000)  12 Pb 4.01

DOS(E_F): 0.7051 states/eV per atom
formation energy: 167 kJ/mol of atoms